The market for housing in Greater Philadelphia is complex and dynamic. The relative affordability of housing varies significantly from one municipality to the next, and sometimes between neighborhoods within the same municipality. At the same time, many different communities across the region struggle to come up with solutions to similar housing problems. DVRPC’s regional housing submarket analysis illuminates key aspects of the housing market in Greater Philadelphia to foster conversation and collaboration between communities experiencing similar challenges.
Housing submarkets are a type of economic model that can be used to classify neighborhoods based on their housing market conditions. This analysis uses a statistical technique known as Latent Profile Analysis to sort each census tract in the region into various submarkets based on 14 economic and housing stock indicators.
After reviewing numerous outputs, a model resulting in eight submarkets was selected because it is granular enough to capture key distinctions between submarkets, yet general enough to be applied across the region. The goal of this analysis was to create a resource that could be easily understood by a range of stakeholders, including elected officials, government staff, and community members. For more information on DVRPC’s methodology, data inputs, and data sources, please visit the project's Github page.
This type of submarket analysis has been conducted by a number of regional planning entities around the country and frequently serves as a foundation for housing policy conversations and research. As part of the preparation for this analysis, the project team spoke with staff from Metropolitan Planning Organizations that have pioneered this type of assessment about their methods and experiences.
Conducting this analysis at the regional level is essential because the factors and conditions that influence the cost and supply of housing do not neatly align with municipal or county boundaries. As the results of this analysis show, there is no single market for housing in Greater Philadelphia. Instead, DVRPC’s submarket analysis presents the region as a more complex mosaic of multiple submarkets, each with its own dynamics shaping supply and demand. This regional perspective is intended to help provide individual municipalities with a more comprehensive understanding of the economic and social conditions that contribute to their own local housing needs.
Furthermore, the region’s housing affordability challenges are intertwined with several other other critical cross-jurisdictional issues related to transportation, the economy, and the environment. As such, achieving better housing outcomes is critical to realizing the equity, sustainability, and resiliency goals set in the Connections 2050 Long-Range Plan for Greater Philadelphia.
Greater Philadelphia Housing Submarkets was developed as part of DVRPC’s Regional Housing Initiative. The Regional Housing Initiative is an ongoing research and analysis project designed to identify the housing affordability challenges facing our region and evaluate potential solutions.
More information on this initiative can be found at:
DVRPC is committed to working with all of our planning patterns to remove barriers to affordable housing and lower housing costs over the long term. Key next steps include working with our partners to identify and evaluate strategies that local governments can use to increase the supply and variety of housing options based on the nature of their housing challenges.
For more information about DVRPC’s other housing-related work, please visit:
Learn more about housing initiatives at
/*
PHF4: computed X-ray diffraction stick pattern (Cu Ka), based on a crystal structure in the Materials Project, relaxed with PBE.
No peak broadening, texture or thermal motion is included.

Top 8 peaks for 2θ = 10–90°, in order of rising 2θ:
2θ/deg, I/Imax
20.07, 29
21.31, 20
21.67, 54
22.83, 54
23.94, 51
24.10, 100
36.10, 23
39.42, 20

Structural model:
```
PHF4
1.0
4.7020 0.0000 0.0000
0.0000 8.2012 0.0000
-4.6159 0.0000 8.8503
P H F
4 4 16
direct
0.1818 0.2171 0.1731 P
0.1818 0.2829 0.6731 P
0.8182 0.7171 0.3269 P
0.8182 0.7829 0.8269 P
0.3360 0.1165 0.1140 H
0.3360 0.3835 0.6140 H
0.6640 0.6165 0.3860 H
0.6640 0.8835 0.8860 H
0.0544 0.6446 0.9221 F
0.0544 0.8554 0.4221 F
0.1156 0.5871 0.3847 F
0.1156 0.9129 0.8847 F
0.2299 0.2012 0.3388 F
0.2299 0.2988 0.8388 F
0.4834 0.1558 0.7309 F
0.4834 0.3442 0.2309 F
0.5166 0.6558 0.7691 F
0.5166 0.8442 0.2691 F
0.7701 0.7012 0.1612 F
0.7701 0.7988 0.6612 F
0.8844 0.0871 0.1153 F
0.8844 0.4129 0.6153 F
0.9456 0.1446 0.5779 F
0.9456 0.3554 0.0779 F
```

SiPb2O4: computed X-ray diffraction stick pattern (Cu Ka), based on a crystal structure in the Materials Project, relaxed with PBE.
No peak broadening, texture or thermal motion is included.

Top 8 peaks for 2θ = 10–90°, in order of rising 2θ:
2θ/deg, I/Imax
14.46, 35
27.28, 65
27.82, 100
29.43, 28
31.28, 27
32.42, 30
34.37, 59
43.87, 24

Structural model:
```
SiPb2O4
1.0
6.1740 -3.8961 0.0000
6.1740 3.8961 0.0000
-2.5205 0.0000 19.6130
Si Pb O
8 16 32
direct
0.0035 0.0035 0.0812 Si
0.2458 0.7460 0.4188 Si
0.2540 0.7542 0.5812 Si
0.4186 0.5735 0.9188 Si
0.4265 0.5814 0.0812 Si
0.6694 0.3219 0.4189 Si
0.6781 0.3306 0.5811 Si
0.9965 0.9965 0.9188 Si
0.0801 0.6711 0.7497 Pb
0.0822 0.1653 0.7452 Pb
0.1908 0.2729 0.4085 Pb
0.1998 0.2776 0.5915 Pb
0.3289 0.9199 0.2503 Pb
0.3341 0.4207 0.2467 Pb
0.4769 0.0572 0.9086 Pb
0.4837 0.0556 0.0911 Pb
0.5793 0.6659 0.7533 Pb
0.5889 0.1677 0.7524 Pb
0.7224 0.8002 0.4085 Pb
0.7271 0.8092 0.5915 Pb
0.8323 0.4111 0.2476 Pb
0.8347 0.9178 0.2548 Pb
0.9428 0.5231 0.0914 Pb
0.9444 0.5163 0.9089 Pb
0.0463 0.1863 0.1247 O
0.0493 0.1675 0.8890 O
0.0626 0.7031 0.3758 O
0.0820 0.7033 0.6118 O
0.1745 0.2561 0.2946 O
0.1948 0.8052 0.5000 O
0.2049 0.7820 0.9150 O
0.2180 0.7951 0.0850 O
0.2492 0.3338 0.7048 O
0.2967 0.9180 0.3882 O
0.2969 0.9374 0.6242 O
0.3756 0.3905 0.8758 O
0.3765 0.4098 0.1122 O
0.4215 0.0030 0.7955 O
0.4573 0.5337 0.4155 O
0.4663 0.5427 0.5845 O
0.4784 0.5216 0.0000 O
0.4956 0.0785 0.2051 O
0.5902 0.6235 0.8878 O
0.6095 0.6244 0.1242 O
0.6268 0.1386 0.3759 O
0.6282 0.1587 0.6117 O
0.6662 0.7508 0.2952 O
0.7295 0.2705 0.5000 O
0.7439 0.8255 0.7054 O
0.8137 0.9537 0.8753 O
0.8325 0.9507 0.1110 O
0.8413 0.3718 0.3883 O
0.8614 0.3732 0.6241 O
0.9215 0.5044 0.7949 O
0.9454 0.0546 0.0000 O
0.9970 0.5785 0.2045 O
```

AcMgCd2: computed X-ray diffraction stick pattern (Cu Ka), based on a crystal structure in the Materials Project, relaxed with PBE.
No peak broadening, texture or thermal motion is included.
*/
Product Number: 23015 | DVRPC Policies
Staff Contact: Andrew Svekla, AICP | Manager, Office of Smart Growth